
Changes in the nature of work as well as the use of technology have had an implication on how young people are prepared for the workplace. This has meant that young people who are joining the workplace tend to be ill prepared and not ready to work which has had an effect on their productivity as well as career progression.

More often than not, employers often look for employees who are well rounded, agile, proactive, collaborative among other soft skills. However, in as much as these skills are important, we find that these skills are often not taught in school. It was a response to this that Absa launched Ready to Work, a program that effectively equips the youth with the relevant skills in a bid to prepare them for the job market.

Records of crystals from another source follow
<<<
No. 1
r²SCAN Ba3Pb5, relaxed; DFT total energy = -732.0 eV for the cell shown; energy of formation = -0.632 eV per atom; space group = No. 63
1.0
7.313 0.032 0.000
-1.473 7.163 0.000
0.000 0.000 11.505
Pb Ba
10 6
Cartesian
4.694 5.783 5.111
2.851 7.075 2.876
-0.498 2.950 8.629
1.146 1.412 6.394
6.338 4.246 2.876
3.180 3.918 2.876
4.694 5.783 0.641
2.989 0.120 8.629
2.660 3.278 8.629
1.146 1.412 10.864
1.105 5.071 0.000
5.023 6.188 8.629
1.105 5.071 5.753
0.818 1.007 2.876
4.735 2.124 5.753
4.735 2.124 0.000

=====

No. 2
r²SCAN Y12Ni6Pb, relaxed; DFT total energy = -378.9 eV for the cell shown; energy of formation = -0.365 eV per atom; space group = No. 204
1.0
-4.877 4.877 4.877
4.877 -4.877 4.877
4.877 4.877 -4.877
Ni Y Pb
6 12 1
Cartesian
0.000 4.877 1.167
4.878 0.000 3.710
4.878 1.168 0.000
1.168 0.000 4.878
0.000 3.710 4.878
3.710 4.877 0.000
3.030 1.899 4.878
4.878 3.030 -1.899
-1.899 4.877 3.030
4.878 3.030 1.900
0.000 1.848 2.978
2.978 0.000 1.848
3.030 -1.899 4.877
1.899 4.877 3.030
6.777 0.000 1.848
0.000 1.848 6.777
1.848 2.978 0.000
1.848 6.776 0.000
4.878 4.878 4.878

=====

No. 3
r²SCAN UNbO5, relaxed; DFT total energy = -313.5 eV for the cell shown; energy of formation = -3.176 eV per atom; space group = No. 17
1.0
-1.493 -0.412 -3.801
0.844 -6.419 0.364
-6.913 -0.750 2.796
O U Nb
10 2 2
Cartesian
-0.071 -2.002 0.196
-4.176 -0.573 -0.433
-4.363 -2.712 -2.376
-6.031 -5.176 2.881
-0.960 -6.030 1.031
-4.659 -5.272 -1.982
-0.774 -0.214 -1.970
-2.010 -3.926 -1.001
-5.109 -1.138 2.130
-5.552 -3.654 0.360
-4.799 -3.498 2.264
-1.270 -3.670 0.897
-0.122 -0.034 -0.311
-4.827 -0.753 -2.092

=====

No. 4
r²SCAN LiEuBi, relaxed; DFT total energy = -409.2 eV for the cell shown; energy of formation = -0.967 eV per atom; space group = No. 62
1.0
-3.493 3.358 0.499
-5.551 -5.518 -1.730
-0.668 -1.927 8.291
Li Bi Eu
4 4 4
Cartesian
-4.768 -0.154 3.315
-2.402 -1.848 7.509
-7.310 -2.239 -0.448
-4.944 -3.934 3.745
-5.772 -5.175 6.306
-2.787 -1.812 4.570
-6.925 -2.275 2.490
-3.940 1.088 0.755
-5.898 -1.738 6.060
-3.813 -2.350 1.000
-1.090 0.258 2.515
-8.622 -4.346 4.545

=====

No. 5
r²SCAN Hf5Si3N, relaxed; DFT total energy = -542.6 eV for the cell shown; energy of formation = -1.121 eV per atom; space group = No. 193
1.0
3.894 -6.744 0.000
3.894 6.744 0.000
0.000 0.000 5.519
Hf Si N
10 6 2
Cartesian
0.914 -1.584 1.380
3.894 2.248 2.759
3.894 2.248 0.000
2.979 5.160 4.139
3.894 -2.248 0.000
5.958 0.000 1.380
1.829 0.000 4.139
2.979 -5.160 4.139
0.914 1.584 1.380
3.894 -2.248 2.759
1.577 -2.732 4.139
2.317 -4.012 1.380
3.154 0.000 1.380
1.577 2.732 4.139
2.317 4.012 1.380
4.633 0.000 4.139
0.000 0.000 2.759
0.000 0.000 0.000

=====

No. 6
r²SCAN V4O3F9, relaxed; DFT total energy = -302.2 eV for the cell shown; energy of formation = -3.044 eV per atom; space group = No. 1; relative energy among the computed polymorphs = 0.000 eV per atom
1.0
-1.426 0.715 -4.839
3.211 3.536 2.246
13.451 -9.937 -2.923
V F O
8 18 6
Cartesian
10.111 -6.269 -4.074
>>>
The records of crystals stop here

Launched in 2015, the program has had a positive impact on the lives of the various youth who have had an opportunity to go through it. One such individual is Faith Waweru, a Collections Officer at the Credit Department of Absa Bank.

Faith joined the Ready to Work program while she was still in university pursuing a Bachelor of Commerce degree. Interestingly, Faith who comes from a humble background only managed to go through university courtesy of the Absa Sponsorship Program.

It was through the scholarship program that she got to hear about Ready to Work and she immediately became interested. At the time, she was looking to start a poultry business that could provide her with upkeep money as well as support her Mum. When she joined the program, she was keen on learning how to set up and sustain the business as well as saving and budgeting. The she reckoned that skills learned would not only help her in sustaining the business but also expanding it.

True to the word, the skills that she learned in the program for example money skills are what enabled her manage the finances in her business. With these skills in mind, she was able to buy the chicks as well as feeds with the meagre resources that she had at the time. She was able to grow the business to a point where it was not only able to sustain itself but was also able to provide a surplus which she used for her upkeep.

When Faith finally graduated in 2021, she was not able to get a suitable job and ended up working as a security guard to survive. Working as a security guard was not easy as she had to endure comments by people who wondered why she was doing the job yet she was a graduate. These comments took a toll on her self-esteem but she held onto the hope that she was going to get a better job.

Here the entry breaks off for materials data:
<<<
Compound: LiMnBO4
Source: the Materials Project
Functional: PBE+U
Structure: relaxed

## Properties
- raw total energy (eV per cell) = -196.83
- volume (Å³/cell) = 237.1
- density (g cm⁻³) = 3.83
- ΔE_f (meV per atom) = -2297

```
LiMnBO4
1.0
-1.511 -4.085 1.079
5.200 -1.659 1.000
-0.878 2.723 9.080
O Mn B Li
16 4 4 4
Direct
0.771 0.041 0.169
0.271 0.541 0.331
0.729 0.459 0.669
0.820 0.250 0.949
0.750 0.750 0.397
0.680 0.250 0.449
0.750 0.750 0.897
0.229 0.959 0.831
0.320 0.750 0.551
0.771 0.459 0.169
0.250 0.250 0.103
0.729 0.041 0.669
0.229 0.541 0.831
0.180 0.750 0.051
0.250 0.250 0.603
0.271 0.959 0.331
0.985 0.750 0.229
0.515 0.750 0.729
0.485 0.250 0.271
0.015 0.250 0.771
0.935 0.250 0.091
0.065 0.750 0.909
0.565 0.250 0.591
0.435 0.750 0.409
>>>

After about a year working as a guard, she received an email asking Ready to Work alumni to apply for internship positions at Absa Bank. She promptly applied and was called for an interview which she passed with flying colors. Thereafter was posted to the Credit department where she worked for about a year before the contract lapsed.

While working as an intern, Faith must have really made an impression that she ultimately landed her current job at the bank. She credits the various skills that she learned during the Ready to Work program specifically people skills which have helped her to successfully navigate the corporate landscape.

Faith has nothing but praise for the Ready to Work program because it has enabled her to get to where she is with the sky being the limit. She indicated that it is a valuable resource that can not only equip one with skills that they need while looking for a job but excelling in it as well.